**To do**
Please give back the calculation results below without additions.

**Listing**
Tm2HfO5: theoretical powder diffractogram (Cu Kα (λ = 1.5418 Å)), based on the PBE geometry in Alexandria.

Top 10 peaks for 2θ from 10° to 80°, by intensity:
d 3.011, 2θ = 29.67°, I 1000, (0 1 3); d 3.041, 2θ = 29.37°, I 993, (2 0 3); d 1.849, 2θ = 49.29°, I 724, (0 2 0); d 2.632, 2θ = 34.06°, I 489, (2 1 0); d 1.579, 2θ = 58.45°, I 286, (2 2 3); d 2.598, 2θ = 34.53°, I 234, (0 0 6); d 1.592, 2θ = 57.94°, I 233, (4 1 3); d 1.875, 2θ = 48.56°, I 126, (4 0 0); d 1.568, 2θ = 58.89°, I 115, (0 1 9); d 1.572, 2θ = 58.72°, I 104, (2 0 9)

Cell and atoms:
Unit cell a=7.500 b=3.695 c=15.587 alpha=90.00 beta=90.00 gamma=90.00
Space group Pnma (No. 62)
Asymmetric unit:
1 Tm 0.090 0.250 0.089 (multiplicity 4)
2 Tm 0.134 0.250 0.740 (multiplicity 4)
3 Hf 0.129 0.250 0.429 (multiplicity 4)
4 O 0.085 0.750 0.657 (multiplicity 4)
5 O 0.097 0.750 0.471 (multiplicity 4)
6 O 0.105 0.750 0.181 (multiplicity 4)
7 O 0.137 0.750 0.006 (multiplicity 4)
8 O 0.188 0.750 0.832 (multiplicity 4)

**Reply**
Tm2HfO5: theoretical powder diffractogram (Cu Kα (λ = 1.5418 Å)), based on the PBE geometry in Alexandria.

Top 10 peaks for 2θ from 10° to 80°, by intensity:
d 3.011, 2θ = 29.67°, I 1000, (0 1 3); d 3.041, 2θ = 29.37°, I 993, (2 0 3); d 1.849, 2θ = 49.29°, I 724, (0 2 0); d 2.632, 2θ = 34.06°, I 489, (2 1 0); d 1.579, 2θ = 58.45°, I 286, (2 2 3); d 2.598, 2θ = 34.53°, I 234, (0 0 6); d 1.592, 2θ = 57.94°, I 233, (4 1 3); d 1.875, 2θ = 48.56°, I 126, (4 0 0); d 1.568, 2θ = 58.89°, I 115, (0 1 9); d 1.572, 2θ = 58.72°, I 104, (2 0 9)

Cell and atoms:
Unit cell a=7.500 b=3.695 c=15.587 alpha=90.00 beta=90.00 gamma=90.00
Space group Pnma (No. 62)
Asymmetric unit:
1 Tm 0.090 0.250 0.089 (multiplicity 4)
2 Tm 0.134 0.250 0.740 (multiplicity 4)
3 Hf 0.129 0.250 0.429 (multiplicity 4)
4 O 0.085 0.750 0.657 (multiplicity 4)
5 O 0.097 0.750 0.471 (multiplicity 4)
6 O 0.105 0.750 0.181 (multiplicity 4)
7 O 0.137 0.750 0.006 (multiplicity 4)
8 O 0.188 0.750 0.832 (multiplicity 4)